Anonymous reputation risking and burning


If we allow groups of people to signal with complete anonymity we can reduce the signaling components in human interactions. This will considerably reduce the cost of expressing contention opinions. However these systems can be abused. So its important to have the ability to revoke users from these groups if they break the rules.

Previously we build Semaphore allows static anonymous reputation system. Here we propose an expansion of Semaphore where we can destroy a users reputation without knowing their Identity. We use this to build a binary reputation system which can trivially be expanded to a non binary reputation system.


With semaphore we create a merkle tree of user identities. Where each user knows some secret information (the hash seed of the leaf) about their leaf in the merkle tree.

We then use snarks to prove that users know the secret information of a leaf in the tree. They can also signal their support of statements (32 bytes string currently), like a vote or a tweet. We call this a signature. Finally we expanded this with a malleable nullfier so that users can only signal once about a given statement. So a user can signal about the same string twice but everyone will know that they did. If a user signals about different strings it will be impossible to link them together.

This is quite powerful construction and can be used for voting, social media, anonymous credentials…

Reputation system

In order to build a reputation system we need to be able to burn users reputation if they break some rules.

-- Someone pasted materials data at this point --
........
Crystalline KSrTe2 at its relaxed geometry, computed with PBE-GGA.

The structure in POSCAR format:
```
KSrTe2
1.0
-0.5817 -0.3113 4.2518
0.7020 -4.2396 -0.2145
7.4696 1.1807 1.1083
Te K Sr
2 1 1
Direct
0.0000 0.0000 0.5244 Te
0.0000 0.0000 0.9756 Te
0.5000 0.5000 0.2500 K
0.5000 0.5000 0.7500 Sr
```

Calculated values
SG = P4/mmm, No. 123
ΔE_f (raw) = -4.524 eV/f.u.
total DFT energy (no corrections) = -3.3966 eV per atom
Fermi-level density of states = 0.7131 states/eV per atom

=====

## BaTiC2 (PBE)

Data for a geometry-optimized BaTiC2 structure.

Computed properties:
Magnetization ... 0.00 μB/f.u.
Space-group type ... Fm-3m, No. 225
VASP energy ... -5.38 eV/atom
E above lowest polymorph ... 1155 meV per atom
DOS(E_F) ... 10.09 states/eV per cell

abc: 4.4586 4.4586 4.4586
angles: 60.00 60.00 60.00
Closest atoms and distances in Å follow each position.
Fractional coordinates of all 4 atoms:
C: 0.2500 0.2500 0.2500  4 Ba 2.73, 4 Ti 2.73
C: 0.7500 0.7500 0.7500  4 Ba 2.73, 4 Ti 2.73
Ba: 0.5000 0.5000 0.5000  8 C 2.73
Ti: 0.0000 0.0000 0.0000  8 C 2.73

---

## NaLi4Y (PBE)

Data for a geometry-optimized NaLi4Y structure.

Computed properties:
Magnetization ... 1.30 μB/f.u.
Space-group type ... F-43m, No. 216
VASP energy ... -2.42 eV/atom
DOS(E_F) ... 3.50 states/eV per cell

abc: 5.9147 5.9147 5.9147
angles: 60.00 60.00 60.00
Closest atoms and distances in Å follow each position.
Fractional coordinates of all 6 atoms:
Y: 0.2500 0.2500 0.2500  12 Li 3.47, 4 Na 3.62
Na: 0.0000 0.0000 0.0000  12 Li 3.47, 4 Y 3.62
Li: 0.6247 0.6247 0.1259  6 Li 2.95-2.96
Li: 0.6247 0.1259 0.6247  6 Li 2.95-2.96
Li: 0.6247 0.6247 0.6247  6 Li 2.95-2.96
Li: 0.1259 0.6247 0.6247  6 Li 2.95-2.96

---

## Sc2SnS (PBE)

Data for a geometry-optimized Sc2SnS structure.

Computed properties:
Magnetization ... 0.00 μB/f.u.
Space-group type ... C2/m, No. 12
VASP energy ... -6.43 eV/atom
Raw formation energy ... -4.92 eV/f.u.
E above lowest polymorph ... 8 meV per atom
DOS(E_F) ... 2.16 states/eV per cell

abc: 3.6198 3.6030 7.7071
angles: 103.69 90.00 120.15
Closest atoms and distances in Å follow each position.
Fractional coordinates of all 4 atoms:
Sc: 0.2665 0.0330 0.3012  3 S 2.55
Sc: 0.7335 0.9670 0.6988  3 S 2.55
Sn: 0.5000 0.5000 0.0000  6 Sc 3.05-3.06
S: 0.0000 0.5000 0.5000  6 Sc 2.55

---

> Which value of VASP energy does entry 1 give?

-5.38 eV/atom

=====

Record 1
DFT (GGA-PBE) results for crystalline BaAlNi at its relaxed geometry.

Lattice parameters (Å, degrees): 4.861 4.861 4.861 60.00 60.00 60.00
Sites, in units of the cell vectors:
Ni: 0.250 0.250 0.250
Ba: 0.500 0.500 0.500
Al: 0.000 0.000 0.000

Values from the calculation:
* magnetization: 0.00 μB per formula unit
* crystal system: cubic

---

Record 2
DFT (GGA-PBE) results for crystalline BaAl2Ni at its relaxed geometry.

Lattice parameters (Å, degrees): 4.189 4.188 5.212 90.00 90.00 90.00
Sites, in units of the cell vectors:
Ba: 0.500 0.000 0.500
Al: 0.000 0.000 0.000
Al: 0.500 0.500 0.000
........

Roles in the system

The system has two roles

  1. The users who signal about things
  2. The admin who is able to remove users from the system if they break some rules, this could be a smart contract.

Reputation system

We can use the nullifier to prevent a user from signalling but because it is malliable we cannot tell when they are signalling about something different. So its trivial for an attacker to avoid some nullifier based bans.

/*
# 1
Material: LaNdGaN3
Method: DFT, PBE
State: relaxed

Properties
The calculation puts the volume at 17.25 Å³ per atom. The value obtained for the energy relative to the elements, uncorrected is -910 meV per atom. The total energy comes out at -7.193 eV per atom.

Lattice parameters (Å, degrees): 3.5674 7.6157 7.6725 96.87 90.00 90.00
Last column: nearest neighbours and their distance in Å.
Sites, in units of the cell vectors:
La: 0.7500 0.8285 0.8226  3 N 2.42-2.49
La: 0.2500 0.1715 0.1774  3 N 2.42-2.49
Nd: 0.2500 0.6341 0.1710  5 N 2.36-2.58
Nd: 0.7500 0.3659 0.8290  5 N 2.36-2.58
Ga: 0.2500 0.0945 0.6064  4 N 1.93-2.03
Ga: 0.7500 0.9055 0.3936  4 N 1.93-2.03
N: 0.2500 0.8417 0.4960  3 Ga 2.01-2.03
N: 0.7500 0.8724 0.1405  1 Ga 1.93
N: 0.7500 0.3922 0.1386  3 Nd 2.36-2.55, 2 La 2.49
N: 0.7500 0.1583 0.5040  3 Ga 2.01-2.03
N: 0.2500 0.6078 0.8614  3 Nd 2.36-2.55, 2 La 2.49
N: 0.2500 0.1276 0.8595  1 Ga 1.93


# 2
Material: Li2Ca2Zn15
Method: DFT, PBE
State: relaxed

Properties
The calculation puts the volume at 16.64 Å³ per atom. The total energy comes out at -1.626 eV per atom. Its formation energy is -0.2077 eV per atom.

Lattice parameters (Å, degrees): 6.8554 6.8554 6.8554 83.33 83.33 83.33
Last column: nearest neighbours and their distance in Å.
Sites, in units of the cell vectors:
Li: 0.0987 0.0987 0.0987  1 Li 2.60, 6 Zn 2.78-2.87
Li: 0.9013 0.9013 0.9013  1 Li 2.60, 6 Zn 2.78-2.87
Ca: 0.3414 0.3414 0.3414  1 Li 3.20, 18 Zn 3.22-3.50
Ca: 0.6586 0.6586 0.6586  1 Li 3.20, 18 Zn 3.22-3.50
Zn: 0.5000 0.0000 0.0000  8 Zn 2.59-2.65, 2 Li 2.78
Zn: 0.0000 0.0000 0.5000  8 Zn 2.59-2.65, 2 Li 2.78
Zn: 0.0000 0.5000 0.0000  8 Zn 2.59-2.65, 2 Li 2.78
Zn: 0.0000 0.7041 0.2959  8 Zn 2.59-2.75
Zn: 0.7041 0.2959 0.0000  8 Zn 2.59-2.75
Zn: 0.2959 0.0000 0.7041  8 Zn 2.59-2.75
Zn: 0.2959 0.7041 0.0000  8 Zn 2.59-2.75
Zn: 0.7041 0.0000 0.2959  8 Zn 2.59-2.75
Zn: 0.0000 0.2959 0.7041  8 Zn 2.59-2.75
Zn: 0.1578 0.6517 0.6517  8 Zn 2.62-2.75, 1 Li 2.87
Zn: 0.6517 0.6517 0.1578  8 Zn 2.62-2.75, 1 Li 2.87
Zn: 0.6517 0.1578 0.6517  8 Zn 2.62-2.75, 1 Li 2.87
Zn: 0.8422 0.3483 0.3483  8 Zn 2.62-2.75, 1 Li 2.87
Zn: 0.3483 0.3483 0.8422  8 Zn 2.62-2.75, 1 Li 2.87
Zn: 0.3483 0.8422 0.3483  8 Zn 2.62-2.75, 1 Li 2.87


# 3
Material: SiAu2N
Method: DFT, PBE
State: relaxed

Properties
The calculation puts the volume at 18.29 Å³ per atom. The value obtained for the energy relative to the elements, uncorrected is 858 meV per atom. The total energy comes out at -4.217 eV per atom.

Lattice parameters (Å, degrees): 5.5029 5.5029 6.2031 63.67 63.67 90.00
Last column: nearest neighbours and their distance in Å.
Sites, in units of the cell vectors:
Si: 0.0000 0.0000 0.0000  4 Au 2.44
Si: 0.7500 0.2500 0.5000  4 Au 2.44
Au: 0.5829 0.1250 0.2500  2 N 2.16
*/
# So much for the records of crystals

To prevent this we have an epoch system, during the epoch the users can signal. The admin can select various signals that broke the rules. They collect these illegal signals into a smart contract.

At the end of the epoch each user is required to move to a new merkle tree, to move to this new tree they must prove via snark that they did not make any of the illegal signals. If they cannot prove this they cannot move and their reputation is burned.

This way we can burn users reputations if they break the rules.


Forcing users to move merkle trees once an epoch is a limitation choosing the epoch length is difficult If its too short users will need to be online to perform this action. If its too long the admin will be unable to stop malicious activity until the end of an epoch. There are a few ways to limit this be allowing users to jump from epoch 1 to epoch 12 skipping the intermediate stages, however this limits the anonymity set.

We can use this to build non binary reputation systems in a few ways. We could add an int reputation to the leaves and limit how much people are able to transfer to the new tree if they made an “illegal” signal we could just give multiple users multiple leaves each being 1 unit of reputation


I started reading “How Miximus works” and noticed you use nullifiers to prevent double spending. However if nullifier can be chosen arbitrarily, there is a potential front-run vulnerability: an attacker sees your nullifier before the transaction is mined and tries to slip in with his own leaf and the same nullifier, trying to spend it immediately.

This attack applies to Zerocoin, but in Zerocash/Zcash it was fixed by requiring the nullifier be deterministic function of the recipient public key. You can do something similar.

This is not a problem. The nullifier is half the seed of the leaf, an attacker needs to find the other half of the seed in order to withdraw front run which is very difficult.

Attacker uses his own secret in a new leaf, just the nullifier is the same.

Attacker uses his own secret in a new leaf, just the nullifier is the same.

Ah yes that is a nice attack. So with miximus we will need to switch to something like how semaphore handles nullifiers. Let me breifly explain this as i think its not vulnerable.

With semaphore we want to be able to reuse the same nullifier without linking to signals together. So to prevent this we have the idea of an external nullifier. Which is defined by the user and should be consistent for that type of signal. So basically semaphore returns hash(nullifier, external_nullifier) So the nullifier gets hidden and an attacker does not know what the nullifier is at withdraw time which prevents them from front running.

Can you see some problems with this approach?

For Miximus, instead of using external_nullifier, perhaps you can define nullifier = H(nullifier_secret) and use nullifier_secret as a private input in the circuit while keeping nullifier as a public input. The zkSNARK proof would then also demonstrate that you know the pre-image for nullifier allowing you to withdraw from the contract. An attacker doesn’t gain anything from front-running your withdraw tx because even though he/she can create a leaf with the same nullifier, he/she will not be able to withdraw it without knowing the pre-image for nullifier.


It’s great to see a big progress on this. I was wondering what are the illegal signals and how a user can defend himself in case he’s been banned by an admin?

I agree that this is a good approach, I’ve filled in some detail in a ticket: Nullifier front-running in Miximus · Issue #2 · HarryR/ethsnarks-miximus · GitHub

Where the pseudocode for the circuit becomes:

spend_hash = H(spend_preimage_var, nullifier_secret)
leaf_hash = H(nullifier_secret, spend_hash)
assert merkle_authenticate(path_var, address_bits, leaf_hash)
assert H(nullifier_secret) == nullifier_var

Where spend_preimage_var is known only to the person authorised to spend the leaf, and nullifier_secret is chosen by either the depositor or the owner of the spend secret.

However, these could also be replaced by public key operations, where the spender has a public key and must sign the leaf as authorisation which creates the nullifier. e.g.

leaf_hash = H(spend_public_key)
assert merkle_authenticate(path_var, address_bits, leaf_hash) # verify exists in tree
assert eddsa_verify(spend_public_key, leaf_hash, signature)
nullifier = H(signature, leaf_hash)

But, by going through the logic I also came across another problem:

When the person who inserts the leaf to deposit the payment and the person withdrawing (the only person who knows the spend secret) are different parties, then the depositor knows when the withdrawer has withdrawn…

In the example above where eddsa signatures are used, the depositor doesn’t know what the nullifier will be unless the spender provides it to them, but the signature will be unique. Another problem is malleability of signatures, as that would allow double spend.

So, basically this means that Miximus only provides anonymity against outsiders if you adhere to the security definitions of the Möbius paper.

Moreover, as @barryWhiteHat explained it to me a malicious Miximus contract deployer could steal funds from others via a compromised proving key generation. Not sure how would affect a compromised zkSNARK setup the anonymous reputation system.

So, basically this means that Miximus only provides anonymity against outsiders if you adhere to the security definitions of the Möbius paper .

What do you mean? That any member of the MT knows whos money is withdrawn?

┌──
1.
The following is a PBE-GGA calculation of a geometry-optimized CaLuNiPt structure, from the Alexandria database.

Calculated values
Spin magnetization, Bohr magnetons per cell: 0.00
V, Å³ per cell: 78.7
DFT formation energy, eV per formula unit: -2.639

CIF file:
```
data_CaLuNiPt
_cell_length_a 4.809
_cell_length_b 4.809
_cell_length_c 4.809
_cell_angle_alpha 60.00
_cell_angle_beta 60.00
_cell_angle_gamma 60.00
_space_group_name_H-M_alt 'P 1'
_space_group_IT_number 1
loop_
_space_group_symop_operation_xyz
'x,y,z'
loop_
_atom_site_label
_atom_site_fract_x
_atom_site_fract_y
_atom_site_fract_z
Ca1 0.500 0.500 0.500
Pt1 0.750 0.750 0.750
Lu1 0.000 0.000 0.000
Ni1 0.250 0.250 0.250
```

2.
The following is a PBE-GGA calculation of a geometry-optimized SrY2Ru structure, from the Alexandria database.

Calculated values
Spin magnetization, Bohr magnetons per cell: 0.00
V, Å³ per cell: 105.7
DFT formation energy, eV per formula unit: 1.619
E above lowest polymorph, meV per atom: 561

CIF file:
```
data_SrY2Ru
_cell_length_a 5.307
_cell_length_b 5.307
_cell_length_c 5.307
_cell_angle_alpha 60.00
_cell_angle_beta 60.00
_cell_angle_gamma 60.00
_space_group_name_H-M_alt 'P 1'
_space_group_IT_number 1
loop_
_space_group_symop_operation_xyz
'x,y,z'
loop_
_atom_site_label
_atom_site_fract_x
_atom_site_fract_y
_atom_site_fract_z
Y1 0.000 0.000 0.000
Y2 0.250 0.250 0.250
Ru1 0.500 0.500 0.500
Sr1 0.750 0.750 0.750
```

3.
The following is a PBE-GGA calculation of a geometry-optimized ReSbIr2 structure, from the Alexandria database.

Calculated values
Formation energy (no corrections), eV/atom: 0.29
Spin magnetization, Bohr magnetons per cell: 0.00
V, Å³ per cell: 64.7

CIF file:
```
data_ReSbIr2
_cell_length_a 4.874
_cell_length_b 4.874
_cell_length_c 4.780
_cell_angle_alpha 82.22
_cell_angle_beta 82.22
_cell_angle_gamma 35.16
_space_group_name_H-M_alt 'P 1'
_space_group_IT_number 1
loop_
_space_group_symop_operation_xyz
'x,y,z'
loop_
_atom_site_label
_atom_site_fract_x
_atom_site_fract_y
_atom_site_fract_z
Re1 0.750 0.750 0.750
Sb1 0.250 0.250 0.250
Ir1 0.492 0.492 0.516
Ir2 0.008 0.008 0.984
```

4.
The following is a PBE-GGA calculation of a geometry-optimized KBaAg structure, from the Alexandria database.

Calculated values
Spin magnetization, Bohr magnetons per cell: 0.00
V, Å³ per cell: 289.4
DFT formation energy, eV per formula unit: -0.453
E above lowest polymorph, meV per atom: 0

CIF file:
```
data_KBaAg
_cell_length_a 4.889
_cell_length_b 4.663
_cell_length_c 12.906
_cell_angle_alpha 79.59
_cell_angle_beta 90.00
_cell_angle_gamma 90.00
_space_group_name_H-M_alt 'P 1'
_space_group_IT_number 1
loop_
_space_group_symop_operation_xyz
'x,y,z'
loop_
_atom_site_label
_atom_site_fract_x
_atom_site_fract_y
_atom_site_fract_z
Ag1 0.250 0.533 0.935
Ag2 0.750 0.467 0.065
Ba1 0.250 0.929 0.141
Ba2 0.750 0.071 0.859
K1 0.250 0.691 0.618
K2 0.750 0.309 0.382
```

5.
└──

Moreover, as @barryWhiteHat explained it to me a malicious Miximus contract deployer could steal funds from others via a compromised proving key generation. Not sure how would affect a compromised zkSNARK setup the anonymous reputation system.

That is the case with any contract deployer. You need to use deploy variables that everyone agrees is correct. So you can do a MPC for the trusted setup and then the deployer is powerless.

Exactly! In case if Alice sends funds to Bob via the mixer she will know when Bob withdrawn money. So anonymity against senders is not guaranteed in this case as you explained it above.

Is there a way to figure out or even better formally verify that a zkSNARK trusted setup was done correctly…or is this absolutely out of reach? :frowning:

Exactly! In case if Alice sends funds to Bob via the mixer she will know when Bob withdrawn money. So anonymity against senders is not guaranteed in this case as you explained it above.

In this case Bob can tell alice to add leaf X to the tree. Then Alice will not know when it was withdrawn. Because she does not know the nullifier.

Is there a way to figure out or even better formally verify that a zkSNARK trusted setup was done correctly…or is this absolutely out of reach? :frowning:

For trusted setup where we have x participants. If 1 of the participants is honest we know it was done correctly.

To prevent nullifier correlation it is sufficient to publish a hash of the original nullifier concatenated to Bob’s private key and prove its format.

One of the limitation here is that for each illegal_signal you need a user to create an individual snark to prove that they did not make that signal. But turns out you can batch multiple signals into a single snark.

The solution is to create an ordered merkle tree of illegal_signals force a user to calculate their nullifier for each singal and then prove that each signal was not part of the merkle tree.

So instead of having n snarks per epoch. We can have a snark that includes n proofs that each user did not make this signal. Where each epoch contains n illegal proofs

If we bond the users we can use the burned bond of the people who make illegal signals to pay for the gas of every user who transition to the new tree.